Tuesday, April 21, 2009


  • I'm healthy.... Blood Pressure was good
  • Baby is healthy...
  • i've Gained too much weight (well to me i think i have)
  • Baby Evan weighs 4.5lbs
  • If i stay healthy.... i will hold till about 37 weeks (but no later)
  • but if something goes wrong... then immidiate delievery
  • Evan has a head full of hair
  • He is also a lazy baby.... and stubborn
  • I'm Still going twice a week to keep a check up on us

so all in all today was a good day..... oh and i gots my crib and dresser today at babies r us.... so so cute.. and i will upload pics later...  in the mean time 2 weeks of school left and a babie shower sunday :)

Monday, April 20, 2009

"What do you want?"

[Attached: crystal structures]
+++
1.
Ac8Os3RhI3: simulated powder XRD pattern (Cu Kα (weighted mean of Kα1 and Kα2)), based on the PBE geometry in Alexandria.

Principal peaks in the range 2θ from 10° to 90°, most intense first:
Position (°2θ), intensity
27.23, 100
10.18, 51
41.29, 42
33.75, 29
36.37, 23
50.17, 19
45.13, 17
66.92, 16
52.43, 11
79.36, 11
29.14, 10
42.64, 10

Structure:
a b c (Å): 8.745 8.745 10.044
angles (deg): 115.74 115.74 60.04
Fractional positions:
Ac1 0.223 0.728 0.680
Ac2 0.228 0.228 0.683
Ac3 0.272 0.272 0.321
Ac4 0.272 0.777 0.320
Ac5 0.728 0.223 0.680
Ac6 0.728 0.728 0.679
Ac7 0.772 0.772 0.317
Ac8 0.777 0.272 0.320
Os1 0.000 0.000 0.500
Os2 0.000 0.500 0.500
Os3 0.500 0.000 0.500
Rh1 0.500 0.500 0.500
I1 0.000 0.500 0.000
I2 0.500 0.000 0.000
I3 0.500 0.500 0.000


2.
Ac6PPt2I2: simulated powder XRD pattern (Cu Kα (weighted mean of Kα1 and Kα2)), based on the PBE geometry in Alexandria.

Principal peaks in the range 2θ from 10° to 90°, most intense first:
Position (°2θ), intensity
27.20, 100
39.44, 27
11.10, 23
38.22, 20
49.52, 14
40.58, 13
34.74, 12
64.27, 11
24.18, 10
37.08, 9
48.23, 8
73.05, 7

Structure:
a b c (Å): 7.775 7.775 8.340
angles (deg): 98.69 98.69 118.14
Fractional positions:
Ac1 0.099 0.429 0.801
Ac2 0.212 0.212 0.202
Ac3 0.429 0.099 0.801
Ac4 0.571 0.901 0.199
Ac5 0.788 0.788 0.798
Ac6 0.901 0.571 0.199
P1 0.500 0.500 0.000
Pt1 0.170 0.830 0.000
Pt2 0.830 0.170 0.000
I1 0.337 0.663 0.500
I2 0.663 0.337 0.500

* * * * *

1.
For HoCuF5, a crystal structure in Alexandria, relaxed with GGA-PBE gives the theoretical PXRD pattern in this record (Cu Kα X-rays).
Intensities are scaled so that the largest is 100.

Most intense lines, 10° ≤ 2θ ≤ 80°, low angle first:
2θ = 16.6°, I 39.6; 2θ = 18.4°, I 21.6; 2θ = 22.1°, I 100.0; 2θ = 24.9°, I 49.1; 2θ = 27.7°, I 93.6; 2θ = 35.3°, I 21.5; 2θ = 36.2°, I 21.8; 2θ = 45.1°, I 23.9; 2θ = 53.1°, I 24.9; 2θ = 54.4°, I 22.2

Structural model:
a b c (Å): 5.640 5.640 7.214
angles (deg): 107.44 107.44 78.71
Fractional coordinates of all 14 atoms:
Ho: 0.059 0.941 0.750
Ho: 0.941 0.059 0.250
Cu: 0.500 0.500 0.000
Cu: 0.500 0.500 0.500
F: 0.157 0.813 0.037
F: 0.187 0.843 0.463
F: 0.228 0.308 0.374
F: 0.308 0.228 0.874
F: 0.383 0.617 0.750
F: 0.617 0.383 0.250
F: 0.692 0.772 0.126
F: 0.772 0.692 0.626
F: 0.813 0.157 0.537
F: 0.843 0.187 0.963


2.
For HoTlCu2F8, a crystal structure in Alexandria, relaxed with GGA-PBE gives the theoretical PXRD pattern in this record (Cu Kα X-rays).
Intensities are scaled so that the largest is 100.

Most intense lines, 10° ≤ 2θ ≤ 80°, low angle first:
2θ = 17.6°, I 92.8; 2θ = 20.9°, I 29.2; 2θ = 28.8°, I 100.0; 2θ = 30.7°, I 71.2; 2θ = 38.5°, I 29.2; 2θ = 42.6°, I 48.2; 2θ = 49.9°, I 17.1; 2θ = 53.4°, I 37.4; 2θ = 56.6°, I 19.6; 2θ = 59.8°, I 22.1

Structural model:
a b c (Å): 5.827 5.827 7.840
angles (deg): 90.00 90.00 120.00
Fractional coordinates of all 12 atoms:
Ho: 0.000 0.000 0.000
Tl: 0.000 0.000 0.500
Cu: 0.333 0.667 0.701
Cu: 0.667 0.333 0.299
F: 0.166 0.332 0.825
+++

so... with baby showers coming up... i have been asked a lot what I need or want.... well frankly i don't really care... i am not a picky person what so ever and i love whatever you love.. i'm one of those ppl who think it is all about thought
but just for information.....

  • i am registered at Babies r us.... wal-mart... and target
  • i have... crib, bedding, bassinet, A car seat, and some outfits, and a stroller.. i think thats it
  • so frankly i need everything.. and if u have had a baby then u know what is majorly needed and what u wish people would of got you and stuff..
  • so for now that is the answer.... 
and ahh.. the room is almost ready.. i'm soo excited and will post pictures.. 

as for an update.... i am 33 weeks and going to the doctor tomorrow for an ultra- sound and hopefully all will be well... all i want is to finish school which my last day is may 6th.. ... and then baby evan can come!! in the mean time i am on bed rest and just chilling.... i'm getting sooo excited and scared... and just AAAHHHHH!!!!

Monday, April 13, 2009

What a Hour....

so today i went back to the doctor... and wow what a lot of information i received...

  • i don't have toxemia
  • i do have "pregnacy hypertention (high blood pressure)
  • i am still on bed rest... well kinda... i can still go to class and stuff
  • i have to go back to the doctor 2x a week 
  • one of those visits will be an ultra-sound b/c hypertention can mess up the fetal growth so they want to monitor that
  • i can still get toxemia... it is possible
  • 10-1 i won't get to have my june baby.... it will be may... doc wants to try and hold him in till i'm atleast 35 weeks.. .which is only 3 weeks away... but that is not guarnteed... my health comes first (but i feel that i can manage that long)

so that was my visit today.. i go back next week..... 
in the mean time.. i have 3 weeks of school left, thank God, and i'll be done.... both baby rooms are still a working progress and so are baby showers.. which is sooo exciting!!... i love this baby that has a big head.. which i was also informed of today :) so i will deft. keep everyone updated and let me know if u have any questions!

Thursday, April 9, 2009

Bed Rest....

so... today i went to the doctor for a regular ol checkup... and by blood presure was kinda high.. well alot high.... so dr. schilling admited me to the hospital immediatly... i was by myself and scared out of my mind.... and he also found blood in my urine.... so i possibley have toximia... which from what i am told... is high BP and alot of swelling in my hands/ feet/ face.....so i spent the afternoon in the hospital and josh and mama came to my resuce..... but after the blood work came back...nothing seemed to high and my bp lowered while i was there.. which is what they wanted..... i am on complete bed rest for the weekend...... and at home!
oh joy.. 3 days of laying on my side..... ugh!.. but baby evan is doing really well.. he behaved while i was in the hospital.... so i will def keep ya'll updated... i go for a follow up visit monday with dr. schilling.... so this is a start to what i thought was going to be a boring weekend!! please keep me occupied!